'''
# LiErNi2

Crystalline LiErNi2 at its relaxed geometry (PBE, Alexandria via LeMat-Bulk).

Cell lengths 3.7245, 4.0328, 4.0328 Å; angles 90.00, 90.00, 90.00 degrees
Fractional positions:
Er1 0.5000 0.0000 0.0000
Li1 0.5000 0.5000 0.5000
Ni1 0.0000 0.0000 0.5000
Ni2 0.0000 0.5000 0.0000

## Properties
Energy of formation from the pure elements, kcal/mol of atoms: -4.06
M_tot, μB per cell: 0.00

* * * * *

w | RbCoIN2: optimized geometry, PBE.

The total magnetization comes out at 1.0 μB/cell.

a = 4.2722 Å, b = 4.2722 Å, c = 5.4707 Å
α = 90.00°, β = 90.00°, γ = 90.00°
Last column: nearest neighbours and their distance in Å.
Space group P4/mmm (No. 123)
Inequivalent atoms, fractional coordinates:
Rb1 0.0000 0.0000 0.0000  4 I 3.02
Co1 0.5000 0.5000 0.5000  4 N 2.14
I1 0.5000 0.5000 0.0000  2 Co 2.74, 4 Rb 3.02
N1 0.0000 0.5000 0.5000  2 Co 2.14

---

x | RbCoIN2: optimized geometry, PBE.

The total magnetization comes out at 7.5 μB/cell.

a = 5.1952 Å, b = 5.1952 Å, c = 7.3888 Å
α = 90.00°, β = 90.00°, γ = 90.00°
Last column: nearest neighbours and their distance in Å.
Space group P4/mmm (No. 123)
Inequivalent atoms, fractional coordinates:
Rb1 0.0000 0.0000 0.0000  4 N 2.60
Co1 0.5000 0.5000 0.5000  4 I 3.67
I1 0.0000 0.0000 0.5000  4 Co 3.67, 2 Rb 3.69
N1 0.0000 0.5000 0.0000  2 Rb 2.60

---

Q: Which of them is the most stable? A: w.

---

w | Ce3Y: optimized geometry, PBE.

The total magnetization comes out at 1.7 μB/cell.

a = 4.8796 Å, b = 4.8796 Å, c = 4.8796 Å
α = 90.00°, β = 90.00°, γ = 90.00°
Last column: nearest neighbours and their distance in Å.
Space group Pm-3m (No. 221)
Inequivalent atoms, fractional coordinates:
Ce1 0.0000 0.0000 0.5000  8 Ce 3.45, 4 Y 3.45
Y1 0.5000 0.5000 0.5000  12 Ce 3.45

---

x | Ce3Y: optimized geometry, PBE.

The total magnetization comes out at 0.0 μB/cell.

a = 3.3179 Å, b = 4.4053 Å, c = 7.7242 Å
α = 90.00°, β = 90.00°, γ = 90.00°
Last column: nearest neighbours and their distance in Å.
Space group Pmm2 (No. 25)
Inequivalent atoms, fractional coordinates:
Ce1 0.0000 0.0000 0.0000  2 Ce 2.82
Ce2 0.0000 0.5000 0.2286  2 Ce 2.82
Ce3 0.5000 0.5000 0.7988  6 Ce 3.17-3.32, 2 Y 3.26
Y1 0.5000 0.0000 0.4883  6 Ce 3.26-3.41, 2 Y 3.32

---

Q: Which of them is the most stable? A: w.

---

w | NiAgP2: optimized geometry, PBE.

The total magnetization comes out at 0.0 μB/cell.

a = 6.5519 Å, b = 3.5137 Å, c = 5.4306 Å
α = 90.00°, β = 92.29°, γ = 90.00°
Last column: nearest neighbours and their distance in Å.
Space group C2/m (No. 12)
Inequivalent atoms, fractional coordinates:
Ni1 0.0000 0.0000 0.0000  6 P 2.28-2.31
Ag1 0.0000 0.0000 0.5000  2 Ni 2.72, 6 P 2.73-2.84
P1 0.1755 0.5000 0.8302  3 Ni 2.28-2.31

---

x | NiAgP2: optimized geometry, PBE.

The total magnetization comes out at 0.0 μB/cell.

a = 3.5030 Å, b = 4.0647 Å, c = 4.0957 Å
α = 90.00°, β = 90.00°, γ = 90.00°
Last column: nearest neighbours and their distance in Å.
Space group Pmmm (No. 47)
Inequivalent atoms, fractional coordinates:
Ni1 0.0000 0.0000 0.0000  8 P 2.68-2.69, 4 Ag 2.89
Ag1 0.0000 0.5000 0.5000  8 P 2.68-2.69, 4 Ni 2.89
P1 0.5000 0.0000 0.5000  4 Ag 2.68, 4 Ni 2.69, 4 P 2.89
P2 0.5000 0.5000 0.0000  4 Ni 2.68, 4 Ag 2.69, 4 P 2.89

---

Q: Which of them is the most stable? A: w.

---

w | KBaLa2: optimized geometry, PBE.

The total magnetization comes out at 0.0 μB/cell.

a = 9.0813 Å, b = 9.0813 Å, c = 9.0813 Å
α = 90.00°, β = 90.00°, γ = 90.00°
Last column: nearest neighbours and their distance in Å.
Space group Fm-3m (No. 225)
Inequivalent atoms, fractional coordinates:
K1 0.0000 0.0000 0.0000  8 La 3.93
Ba1 0.0000 0.0000 0.5000  8 La 3.93
La1 0.2500 0.2500 0.2500  4 Ba 3.93, 4 K 3.93

---

x | KBaLa2: optimized geometry, PBE.

The total magnetization comes out at 0.0 μB/cell.

a = 5.3673 Å, b = 5.3673 Å, c = 13.0425 Å
α = 90.00°, β = 90.00°, γ = 90.00°
Last column: nearest neighbours and their distance in Å.
Space group I4/mmm (No. 139)
Inequivalent atoms, fractional coordinates:
'''

Filter the rows further above: keep the lines with the word "in".

Last column: nearest neighbours and their distance in Å.
Last column: nearest neighbours and their distance in Å.
Last column: nearest neighbours and their distance in Å.
Last column: nearest neighbours and their distance in Å.
Last column: nearest neighbours and their distance in Å.
Last column: nearest neighbours and their distance in Å.
Last column: nearest neighbours and their distance in Å.
Last column: nearest neighbours and their distance in Å.